To do:
The reader should return everything further below exactly.

Contents:
~~~
Entry 1:
# C23H28N4O5

C23H28N4O5 in the gas phase (ωB97M-V with the def2-TZVPD basis set, the OMol25 dataset).

Cartesian coordinates (Å):
C: -5.099 -3.505 -2.027
C: -5.002 -2.111 -1.486
C: -5.017 -1.861 -0.123
C: -4.933 -0.572 0.382
C: -4.831 0.500 -0.492
O: -4.716 1.816 -0.122
C: -4.636 2.130 1.250
C: -3.460 1.504 2.008
O: -3.644 0.987 3.095
N: -2.236 1.571 1.446
C: -1.870 2.171 0.183
C: -1.345 1.067 -0.751
N: -0.227 0.372 -0.152
C: 1.073 0.750 -0.390
C: 1.391 1.892 -1.152
C: 2.696 2.189 -1.433
C: 3.752 1.391 -0.988
N: 5.030 1.677 -1.530
O: 5.210 2.784 -2.014
O: 5.880 0.799 -1.541
C: 3.476 0.276 -0.157
N: 4.476 -0.499 0.374
C: 5.571 0.084 1.126
C: 6.828 -0.763 0.925
O: 6.595 -2.096 1.326
C: 5.538 -2.651 0.587
C: 4.234 -1.864 0.783
C: 2.135 -0.018 0.094
C: -0.637 -0.237 1.096
C: -1.139 0.850 2.060
C: -4.822 0.263 -1.867
C: -4.908 -1.025 -2.351
H: -5.013 -4.239 -1.229
H: -6.057 -3.650 -2.525
H: -4.314 -3.688 -2.759
H: -5.095 -2.686 0.571
H: -4.948 -0.427 1.450
H: -5.550 1.831 1.779
H: -4.553 3.221 1.293
H: -2.718 2.677 -0.271
H: -1.071 2.900 0.369
H: -1.070 1.473 -1.722
H: -2.144 0.333 -0.909
H: 0.623 2.550 -1.523
H: 2.941 3.049 -2.039
H: 5.758 1.110 0.823
H: 5.307 0.079 2.197
H: 7.645 -0.392 1.546
H: 7.115 -0.724 -0.133
H: 5.419 -3.678 0.939
H: 5.790 -2.654 -0.484
H: 3.460 -2.308 0.155
H: 3.933 -1.922 1.841
H: 1.923 -0.879 0.704
H: 0.181 -0.778 1.562
H: -1.450 -0.940 0.888
H: -1.504 0.411 2.989
H: -0.324 1.549 2.280
H: -4.747 1.107 -2.535
H: -4.899 -1.193 -3.418

Atomic forces in eV per Å
C -0.046 0.032 -0.038
C 0.027 -0.078 0.118
C 0.011 -0.056 -0.250
C -0.009 0.377 0.157
C -0.031 -0.150 -0.157
O -0.070 -0.096 -0.205
C -0.188 0.013 0.243
C -0.127 0.145 -0.075
O -0.295 -0.058 0.219
N 0.270 -0.019 0.004
C 0.003 0.083 -0.477
C -0.156 0.366 -0.064
N -0.094 -0.162 -0.194
C 0.284 0.046 -0.193
C -0.163 -0.037 0.050
C 0.320 -0.082 0.020
C -1.280 -0.131 0.455
N 0.851 0.166 -0.442
O 0.103 0.102 -0.010
O 0.066 0.096 -0.074
C 0.005 0.303 -0.195
N 0.007 -0.300 0.015
C 0.371 -0.051 0.024
C -0.078 0.402 0.005
O 0.070 -0.075 0.160
C -0.396 -0.111 -0.030
C 0.258 -0.223 -0.030
C 0.057 -0.043 0.151
C 0.026 0.080 0.426
C 0.060 -0.446 0.219
C -0.014 0.157 0.162
C 0.015 0.058 0.138
H 0.007 -0.091 0.008
H -0.042 -0.101 -0.041
H 0.034 -0.090 -0.037
H -0.005 -0.091 0.061
H -0.002 0.050 0.144
H 0.208 0.014 -0.044
H -0.019 -0.135 0.022
H 0.104 0.003 0.052
H -0.056 -0.022 -0.046
H -0.017 -0.038 0.005
H 0.057 0.099 -0.022
H -0.083 0.048 -0.027
H -0.018 0.000 -0.016
H -0.027 -0.030 0.020
H 0.042 0.048 -0.058
H -0.032 0.029 -0.057
H 0.011 -0.012 0.123
H -0.035 0.043 -0.067
H -0.050 -0.034 0.067
H -0.002 0.001 0.047
H -0.064 -0.052 -0.044
H 0.014 -0.066 0.059
H -0.048 -0.027 -0.041
H 0.057 -0.001 0.062
H 0.111 0.083 -0.091
H -0.018 -0.040 0.012
H 0.010 0.111 -0.091
H 0.006 -0.007 -0.129

As for the SMILES: Cc1ccc(OCC(=O)N2CCN(c3ccc([N+](=O)[O-])c(N4CCOCC4)c3)CC2)cc1. For the HOMO energy, the calculation gives -8.15 eV. The largest force on an atom comes out at 1.36 eV Å⁻¹. For the energy relative to the best compared isomer or geometry (same formula, charge and spin), the calculation gives 6.076 eV.


Entry 2:
# C8H13IN

An isolated ion of composition C8H13IN and charge +1 (ωB97M-V with the def2-TZVPD basis set, the OMol25 dataset).

Cartesian coordinates (Å):
C: 0.006 0.859 -1.487
C: 0.197 2.315 -1.184
C: 0.094 2.813 0.027
C: -0.146 2.100 1.279
C: -0.374 0.762 1.462
C: -0.584 -0.089 0.256
I: -2.695 -0.124 -0.193
N: -0.014 -1.466 0.383
C: -0.520 -2.641 -0.502
C: 1.452 -1.278 0.476
H: -0.842 0.703 -2.304
H: 0.803 0.231 -1.757
H: 0.438 3.118 -1.880
H: 0.277 3.906 0.145
H: -0.464 2.770 2.027
H: -0.591 0.215 2.389
H: -0.297 -1.871 1.294
H: -0.448 -2.562 -1.548
H: -0.128 -3.457 -0.073
H: -1.621 -2.566 -0.438
H: 1.946 -0.645 -0.229
H: 1.584 -0.828 1.445
H: 1.927 -2.266 0.409

Atomic forces in eV per Å
C -3.292 -0.762 1.083
C 0.374 -0.534 -0.230
C 0.320 0.928 1.405
C -1.289 -1.864 -0.266
C 0.355 0.741 -1.265
C -0.350 2.076 -3.512
I -0.180 -0.132 0.454
~~~

Response:
Entry 1:
# C23H28N4O5

C23H28N4O5 in the gas phase (ωB97M-V with the def2-TZVPD basis set, the OMol25 dataset).

Cartesian coordinates (Å):
C: -5.099 -3.505 -2.027
C: -5.002 -2.111 -1.486
C: -5.017 -1.861 -0.123
C: -4.933 -0.572 0.382
C: -4.831 0.500 -0.492
O: -4.716 1.816 -0.122
C: -4.636 2.130 1.250
C: -3.460 1.504 2.008
O: -3.644 0.987 3.095
N: -2.236 1.571 1.446
C: -1.870 2.171 0.183
C: -1.345 1.067 -0.751
N: -0.227 0.372 -0.152
C: 1.073 0.750 -0.390
C: 1.391 1.892 -1.152
C: 2.696 2.189 -1.433
C: 3.752 1.391 -0.988
N: 5.030 1.677 -1.530
O: 5.210 2.784 -2.014
O: 5.880 0.799 -1.541
C: 3.476 0.276 -0.157
N: 4.476 -0.499 0.374
C: 5.571 0.084 1.126
C: 6.828 -0.763 0.925
O: 6.595 -2.096 1.326
C: 5.538 -2.651 0.587
C: 4.234 -1.864 0.783
C: 2.135 -0.018 0.094
C: -0.637 -0.237 1.096
C: -1.139 0.850 2.060
C: -4.822 0.263 -1.867
C: -4.908 -1.025 -2.351
H: -5.013 -4.239 -1.229
H: -6.057 -3.650 -2.525
H: -4.314 -3.688 -2.759
H: -5.095 -2.686 0.571
H: -4.948 -0.427 1.450
H: -5.550 1.831 1.779
H: -4.553 3.221 1.293
H: -2.718 2.677 -0.271
H: -1.071 2.900 0.369
H: -1.070 1.473 -1.722
H: -2.144 0.333 -0.909
H: 0.623 2.550 -1.523
H: 2.941 3.049 -2.039
H: 5.758 1.110 0.823
H: 5.307 0.079 2.197
H: 7.645 -0.392 1.546
H: 7.115 -0.724 -0.133
H: 5.419 -3.678 0.939
H: 5.790 -2.654 -0.484
H: 3.460 -2.308 0.155
H: 3.933 -1.922 1.841
H: 1.923 -0.879 0.704
H: 0.181 -0.778 1.562
H: -1.450 -0.940 0.888
H: -1.504 0.411 2.989
H: -0.324 1.549 2.280
H: -4.747 1.107 -2.535
H: -4.899 -1.193 -3.418

Atomic forces in eV per Å
C -0.046 0.032 -0.038
C 0.027 -0.078 0.118
C 0.011 -0.056 -0.250
C -0.009 0.377 0.157
C -0.031 -0.150 -0.157
O -0.070 -0.096 -0.205
C -0.188 0.013 0.243
C -0.127 0.145 -0.075
O -0.295 -0.058 0.219
N 0.270 -0.019 0.004
C 0.003 0.083 -0.477
C -0.156 0.366 -0.064
N -0.094 -0.162 -0.194
C 0.284 0.046 -0.193
C -0.163 -0.037 0.050
C 0.320 -0.082 0.020
C -1.280 -0.131 0.455
N 0.851 0.166 -0.442
O 0.103 0.102 -0.010
O 0.066 0.096 -0.074
C 0.005 0.303 -0.195
N 0.007 -0.300 0.015
C 0.371 -0.051 0.024
C -0.078 0.402 0.005
O 0.070 -0.075 0.160
C -0.396 -0.111 -0.030
C 0.258 -0.223 -0.030
C 0.057 -0.043 0.151
C 0.026 0.080 0.426
C 0.060 -0.446 0.219
C -0.014 0.157 0.162
C 0.015 0.058 0.138
H 0.007 -0.091 0.008
H -0.042 -0.101 -0.041
H 0.034 -0.090 -0.037
H -0.005 -0.091 0.061
H -0.002 0.050 0.144
H 0.208 0.014 -0.044
H -0.019 -0.135 0.022
H 0.104 0.003 0.052
H -0.056 -0.022 -0.046
H -0.017 -0.038 0.005
H 0.057 0.099 -0.022
H -0.083 0.048 -0.027
H -0.018 0.000 -0.016
H -0.027 -0.030 0.020
H 0.042 0.048 -0.058
H -0.032 0.029 -0.057
H 0.011 -0.012 0.123
H -0.035 0.043 -0.067
H -0.050 -0.034 0.067
H -0.002 0.001 0.047
H -0.064 -0.052 -0.044
H 0.014 -0.066 0.059
H -0.048 -0.027 -0.041
H 0.057 -0.001 0.062
H 0.111 0.083 -0.091
H -0.018 -0.040 0.012
H 0.010 0.111 -0.091
H 0.006 -0.007 -0.129

As for the SMILES: Cc1ccc(OCC(=O)N2CCN(c3ccc([N+](=O)[O-])c(N4CCOCC4)c3)CC2)cc1. For the HOMO energy, the calculation gives -8.15 eV. The largest force on an atom comes out at 1.36 eV Å⁻¹. For the energy relative to the best compared isomer or geometry (same formula, charge and spin), the calculation gives 6.076 eV.


Entry 2:
# C8H13IN

An isolated ion of composition C8H13IN and charge +1 (ωB97M-V with the def2-TZVPD basis set, the OMol25 dataset).

Cartesian coordinates (Å):
C: 0.006 0.859 -1.487
C: 0.197 2.315 -1.184
C: 0.094 2.813 0.027
C: -0.146 2.100 1.279
C: -0.374 0.762 1.462
C: -0.584 -0.089 0.256
I: -2.695 -0.124 -0.193
N: -0.014 -1.466 0.383
C: -0.520 -2.641 -0.502
C: 1.452 -1.278 0.476
H: -0.842 0.703 -2.304
H: 0.803 0.231 -1.757
H: 0.438 3.118 -1.880
H: 0.277 3.906 0.145
H: -0.464 2.770 2.027
H: -0.591 0.215 2.389
H: -0.297 -1.871 1.294
H: -0.448 -2.562 -1.548
H: -0.128 -3.457 -0.073
H: -1.621 -2.566 -0.438
H: 1.946 -0.645 -0.229
H: 1.584 -0.828 1.445
H: 1.927 -2.266 0.409

Atomic forces in eV per Å
C -3.292 -0.762 1.083
C 0.374 -0.534 -0.230
C 0.320 0.928 1.405
C -1.289 -1.864 -0.266
C 0.355 0.741 -1.265
C -0.350 2.076 -3.512
I -0.180 -0.132 0.454